Excerpt:
********
This record from the OMol25 dataset describes a structure of composition C18H35ClEuO4S. The level of theory is ωB97M-V with the def2-TZVPD basis set.

Results
Multiplicity = 8
Frontier orbital gap (spin up / spin down) = 3.8 / 4.0 eV
M = 534.96 g/mol
Charge = +2

Structure (XYZ):
```
60
Properties=species:S:1:pos:R:3:mulliken_spin:R:1
Eu -8.283 -1.203 -1.203 7.015
Cl -7.343 2.411 1.317 -0.001
S -5.995 0.921 -2.674 -0.003
O -7.203 -0.047 -2.709 -0.013
O -4.658 -0.093 -2.280 0.001
O -5.943 2.186 -1.525 0.000
O -5.721 1.287 -4.157 -0.001
C -2.954 1.693 -1.626 -0.001
C -4.121 0.627 -1.083 0.000
C 0.235 -1.850 0.903 0.000
C -6.058 -0.063 1.712 0.000
C 6.532 -0.119 -0.510 0.000
C -3.308 -0.511 -0.230 -0.001
C 3.945 -0.346 0.399 0.000
C 5.480 -0.971 0.415 0.000
C 2.924 -1.648 0.286 0.000
C -5.226 1.589 -0.349 0.002
C -7.450 -0.470 2.500 0.003
C 1.412 -1.026 0.065 0.000
C 8.380 1.507 0.753 0.000
C 9.702 2.165 -0.023 0.000
C -1.120 -2.138 -0.011 0.000
C -6.472 0.948 0.493 0.024
C 8.053 0.005 0.117 0.000
C -1.747 -0.736 -0.673 0.000
H -7.475 -1.661 2.557 0.000
H 1.078 -0.996 -1.060 0.000
H -0.737 -2.794 -0.930 0.000
H 3.163 -2.308 -0.663 0.000
H -3.891 -1.537 -0.404 0.000
H -7.568 0.038 3.550 -0.001
H -1.116 0.136 -0.158 0.000
H -1.613 -0.751 -1.852 0.000
H 2.924 -2.307 1.265 0.000
H -8.383 -0.185 1.817 0.000
H 8.823 -0.219 -0.759 0.000
H -1.906 -2.729 0.624 0.000
H 3.763 0.430 -0.464 0.000
H -7.301 0.426 -0.146 -0.024
H 7.460 2.256 0.622 0.000
H -5.673 -1.067 1.198 0.000
H 8.604 1.425 1.913 0.000
H -3.434 2.720 -2.001 0.000
H -3.317 -0.316 0.927 0.000
H 3.688 0.184 1.429 0.000
H -4.667 2.344 0.379 0.000
H -5.205 0.335 2.407 -0.001
H 0.709 -2.872 1.299 0.000
H 6.623 -0.704 -1.543 0.000
H 5.880 -1.123 1.525 0.000
H 6.046 0.922 -0.776 0.000
H 9.613 2.090 -1.195 0.000
H -2.374 1.266 -2.577 0.000
H 9.880 3.264 0.350 0.000
H -2.207 2.014 -0.757 0.000
H 1.393 0.100 0.445 0.000
H 5.395 -2.061 -0.061 0.000
H -0.124 -1.196 1.833 0.000
H 10.649 1.525 0.297 0.000
H 8.238 -0.764 1.000 0.000
```

This record from the OMol25 dataset describes a structure of composition C51H57AsN5OsSi2Te. The level of theory is ωB97M-V with the def2-TZVPD basis set.

Results
Energy above the lowest of the compared OMol25 structures with the same formula, charge and spin = 0.0 kJ/mol
Frontier orbital gap (spin up / spin down) = 5.8 / 6.3 eV
M = 1188.98 g/mol
Charge = +1

Structure (XYZ):
```
118
Properties=species:S:1:pos:R:3:mulliken_charge:R:1
Os -1.216 0.072 0.348 0.988
Te -3.008 -1.352 1.570 0.573
As 2.214 0.524 -2.298 1.123
Si 1.689 -1.498 1.472 0.324
Si -2.981 2.638 1.789 0.563
N -1.791 1.322 -1.174 0.437
N -0.731 -0.920 -2.526 1.321
N -0.973 -1.358 -1.277 0.650
N 0.373 -0.228 1.539 0.362
N -1.519 1.567 1.716 1.136
C 1.181 0.456 -6.420 -0.748
C 0.584 1.696 -6.601 -0.650
C 1.754 -2.314 3.174 -1.462
C 4.707 -0.646 -2.715 0.406
C -0.997 -5.035 2.808 -0.595
C 3.329 -0.723 1.009 -0.837
C -3.676 -0.001 -2.252 -1.242
C -4.316 -1.035 4.241 -1.253
C -1.209 2.576 -1.330 0.243
C -1.349 -3.701 2.659 -0.441
C 5.662 -1.629 -2.954 -0.565
C -1.943 -0.597 4.363 0.476
C -3.072 -0.934 3.629 0.621
C 5.226 3.497 -1.885 -0.723
C -3.112 -4.344 1.140 -0.460
C 1.347 -2.844 0.245 0.095
C -2.519 4.394 1.338 -1.192
C -2.400 -3.362 1.819 0.291
C 3.918 -3.275 -3.198 -0.863
C 1.695 0.102 -5.178 -0.303
C 3.849 1.565 -2.219 0.324
C -3.729 2.519 3.508 -1.264
C -2.767 1.186 -2.155 0.514
C -1.192 -3.043 -2.751 -1.504
C 1.693 0.917 3.299 -0.923
C 4.984 0.778 -2.438 0.581
C -2.066 -0.340 5.720 -0.983
C 3.966 2.916 -1.933 -0.665
C 0.709 2.871 4.323 -1.438
C -0.491 1.745 2.549 0.965
C 6.358 2.722 -2.105 -0.840
C 1.755 1.924 4.216 -1.330
C -0.858 -1.892 -3.435 -0.625
C -1.257 -2.654 -1.413 -0.705
C -0.043 3.055 -0.518 -0.836
C -4.282 2.075 0.573 -0.898
C 1.617 0.988 -4.108 0.397
C -1.693 -6.020 2.120 -0.623
C -0.382 2.787 3.518 -1.018
C -2.800 2.331 -2.904 -1.417
C -2.750 -5.677 1.289 -0.598
C 2.958 -2.303 -2.952 0.043
C -3.306 -0.432 6.338 -0.687
C 6.243 1.366 -2.374 -0.636
********

Brief:
Could you return the whole of the listing further up without additions?

Here it is:
This record from the OMol25 dataset describes a structure of composition C18H35ClEuO4S. The level of theory is ωB97M-V with the def2-TZVPD basis set.

Results
Multiplicity = 8
Frontier orbital gap (spin up / spin down) = 3.8 / 4.0 eV
M = 534.96 g/mol
Charge = +2

Structure (XYZ):
```
60
Properties=species:S:1:pos:R:3:mulliken_spin:R:1
Eu -8.283 -1.203 -1.203 7.015
Cl -7.343 2.411 1.317 -0.001
S -5.995 0.921 -2.674 -0.003
O -7.203 -0.047 -2.709 -0.013
O -4.658 -0.093 -2.280 0.001
O -5.943 2.186 -1.525 0.000
O -5.721 1.287 -4.157 -0.001
C -2.954 1.693 -1.626 -0.001
C -4.121 0.627 -1.083 0.000
C 0.235 -1.850 0.903 0.000
C -6.058 -0.063 1.712 0.000
C 6.532 -0.119 -0.510 0.000
C -3.308 -0.511 -0.230 -0.001
C 3.945 -0.346 0.399 0.000
C 5.480 -0.971 0.415 0.000
C 2.924 -1.648 0.286 0.000
C -5.226 1.589 -0.349 0.002
C -7.450 -0.470 2.500 0.003
C 1.412 -1.026 0.065 0.000
C 8.380 1.507 0.753 0.000
C 9.702 2.165 -0.023 0.000
C -1.120 -2.138 -0.011 0.000
C -6.472 0.948 0.493 0.024
C 8.053 0.005 0.117 0.000
C -1.747 -0.736 -0.673 0.000
H -7.475 -1.661 2.557 0.000
H 1.078 -0.996 -1.060 0.000
H -0.737 -2.794 -0.930 0.000
H 3.163 -2.308 -0.663 0.000
H -3.891 -1.537 -0.404 0.000
H -7.568 0.038 3.550 -0.001
H -1.116 0.136 -0.158 0.000
H -1.613 -0.751 -1.852 0.000
H 2.924 -2.307 1.265 0.000
H -8.383 -0.185 1.817 0.000
H 8.823 -0.219 -0.759 0.000
H -1.906 -2.729 0.624 0.000
H 3.763 0.430 -0.464 0.000
H -7.301 0.426 -0.146 -0.024
H 7.460 2.256 0.622 0.000
H -5.673 -1.067 1.198 0.000
H 8.604 1.425 1.913 0.000
H -3.434 2.720 -2.001 0.000
H -3.317 -0.316 0.927 0.000
H 3.688 0.184 1.429 0.000
H -4.667 2.344 0.379 0.000
H -5.205 0.335 2.407 -0.001
H 0.709 -2.872 1.299 0.000
H 6.623 -0.704 -1.543 0.000
H 5.880 -1.123 1.525 0.000
H 6.046 0.922 -0.776 0.000
H 9.613 2.090 -1.195 0.000
H -2.374 1.266 -2.577 0.000
H 9.880 3.264 0.350 0.000
H -2.207 2.014 -0.757 0.000
H 1.393 0.100 0.445 0.000
H 5.395 -2.061 -0.061 0.000
H -0.124 -1.196 1.833 0.000
H 10.649 1.525 0.297 0.000
H 8.238 -0.764 1.000 0.000
```

This record from the OMol25 dataset describes a structure of composition C51H57AsN5OsSi2Te. The level of theory is ωB97M-V with the def2-TZVPD basis set.

Results
Energy above the lowest of the compared OMol25 structures with the same formula, charge and spin = 0.0 kJ/mol
Frontier orbital gap (spin up / spin down) = 5.8 / 6.3 eV
M = 1188.98 g/mol
Charge = +1

Structure (XYZ):
```
118
Properties=species:S:1:pos:R:3:mulliken_charge:R:1
Os -1.216 0.072 0.348 0.988
Te -3.008 -1.352 1.570 0.573
As 2.214 0.524 -2.298 1.123
Si 1.689 -1.498 1.472 0.324
Si -2.981 2.638 1.789 0.563
N -1.791 1.322 -1.174 0.437
N -0.731 -0.920 -2.526 1.321
N -0.973 -1.358 -1.277 0.650
N 0.373 -0.228 1.539 0.362
N -1.519 1.567 1.716 1.136
C 1.181 0.456 -6.420 -0.748
C 0.584 1.696 -6.601 -0.650
C 1.754 -2.314 3.174 -1.462
C 4.707 -0.646 -2.715 0.406
C -0.997 -5.035 2.808 -0.595
C 3.329 -0.723 1.009 -0.837
C -3.676 -0.001 -2.252 -1.242
C -4.316 -1.035 4.241 -1.253
C -1.209 2.576 -1.330 0.243
C -1.349 -3.701 2.659 -0.441
C 5.662 -1.629 -2.954 -0.565
C -1.943 -0.597 4.363 0.476
C -3.072 -0.934 3.629 0.621
C 5.226 3.497 -1.885 -0.723
C -3.112 -4.344 1.140 -0.460
C 1.347 -2.844 0.245 0.095
C -2.519 4.394 1.338 -1.192
C -2.400 -3.362 1.819 0.291
C 3.918 -3.275 -3.198 -0.863
C 1.695 0.102 -5.178 -0.303
C 3.849 1.565 -2.219 0.324
C -3.729 2.519 3.508 -1.264
C -2.767 1.186 -2.155 0.514
C -1.192 -3.043 -2.751 -1.504
C 1.693 0.917 3.299 -0.923
C 4.984 0.778 -2.438 0.581
C -2.066 -0.340 5.720 -0.983
C 3.966 2.916 -1.933 -0.665
C 0.709 2.871 4.323 -1.438
C -0.491 1.745 2.549 0.965
C 6.358 2.722 -2.105 -0.840
C 1.755 1.924 4.216 -1.330
C -0.858 -1.892 -3.435 -0.625
C -1.257 -2.654 -1.413 -0.705
C -0.043 3.055 -0.518 -0.836
C -4.282 2.075 0.573 -0.898
C 1.617 0.988 -4.108 0.397
C -1.693 -6.020 2.120 -0.623
C -0.382 2.787 3.518 -1.018
C -2.800 2.331 -2.904 -1.417
C -2.750 -5.677 1.289 -0.598
C 2.958 -2.303 -2.952 0.043
C -3.306 -0.432 6.338 -0.687
C 6.243 1.366 -2.374 -0.636